____________
For HoSi, a crystal structure in Alexandria, relaxed with GGA-PBE gives the calculated powder XRD pattern in this record (Cu Kα X-rays).

Main lines, by angle (10° ≤ 2θ ≤ 80°):
| Position (°2θ) | I/Imax |
| --- | --- |
| 22.54 | 39 |
| 28.91 | 65 |
| 32.63 | 100 |
| 33.16 | 53 |
| 34.20 | 30 |
| 40.91 | 31 |

Structural model:
Cell lengths 5.6587, 5.6587, 3.8210 Å; angles 90.00, 90.00, 135.82 degrees
Atoms (fractional coordinates):
1 Ho 0.1402 0.8598 0.7500
2 Ho 0.8598 0.1402 0.2500
3 Si 0.4233 0.5767 0.7500
4 Si 0.5767 0.4233 0.2500

~~~~~

# MnRh2O4
Calculated powder diffractogram, Cu Kα (λ = 1.5418 Å). Input: the GGA+U geometry in Alexandria.
Neutral-atom scattering factors, no anomalous dispersion.

Structure:
```
MnRh2O4
1.0
0.0000 4.3803 4.3803
4.3803 0.0000 4.3803
4.3803 4.3803 0.0000
Mn Rh O
2 4 8
Direct
0.1250 0.1250 0.1250 Mn
0.8750 0.8750 0.8750 Mn
0.0000 0.5000 0.5000 Rh
0.5000 0.0000 0.5000 Rh
0.5000 0.5000 0.0000 Rh
0.5000 0.5000 0.5000 Rh
0.2632 0.2632 0.2632 O
0.2632 0.2632 0.7105 O
0.2632 0.7105 0.2632 O
0.2895 0.7368 0.7368 O
0.7105 0.2632 0.2632 O
0.7368 0.2895 0.7368 O
0.7368 0.7368 0.2895 O
0.7368 0.7368 0.7368 O
```

Most intense lines, 10° ≤ 2θ ≤ 90°, in order of rising 2θ:
Position (°2θ), I/Imax
17.53, 48
33.94, 100
35.50, 32
41.22, 33
54.42, 38
59.71, 46

~~~~~

Record 1
Diffraction record for KFeN. The powder diffraction line list is simulated, not measured: it uses DFT lattice parameters and positions (PBE) and copper Kα.

Peak list (12 most intense, 10° ≤ 2θ ≤ 90°, most intense first)
- 30.33°, d = 2.947 Å, rel. 100.0
- 16.05°, d = 5.522 Å, rel. 88.3
- 18.00°, d = 4.928 Å, rel. 49.4
- 38.25°, d = 2.353 Å, rel. 43.5
- 30.05°, d = 2.973 Å, rel. 26.3
- 52.06°, d = 1.757 Å, rel. 25.2
- 31.17°, d = 2.869 Å, rel. 22.3
- 34.02°, d = 2.635 Å, rel. 22.2
- 61.23°, d = 1.514 Å, rel. 21.6
- 28.26°, d = 3.158 Å, rel. 17.0
- 51.82°, d = 1.764 Å, rel. 16.7
- 26.75°, d = 3.333 Å, rel. 14.7

Cell lengths 9.857, 3.528, 6.666 Å; angles 90.00, 90.00, 90.00 degrees
Positions (direct):
K  0.180  0.250  0.048
K  0.320  0.750  0.548
K  0.680  0.250  0.452
K  0.820  0.750  0.952
Fe  0.022  0.250  0.610
Fe  0.478  0.750  0.110
Fe  0.522  0.250  0.890
Fe  0.978  0.750  0.390
N  0.034  0.750  0.659
N  0.466  0.250  0.159
N  0.534  0.750  0.841
N  0.966  0.250  0.341

Record 2
Diffraction record for KMg3CuAs3O12. The powder diffraction line list is simulated, not measured: it uses DFT lattice parameters and positions (PBE) and copper Kα.

Peak list (12 most intense, 10° ≤ 2θ ≤ 90°, most intense first)
- 31.86°, d = 2.809 Å, rel. 100.0
- 26.99°, d = 3.303 Å, rel. 79.7
- 31.61°, d = 2.831 Å, rel. 51.8
- 53.68°, d = 1.707 Å, rel. 42.3
- 28.22°, d = 3.162 Å, rel. 42.0
- 33.06°, d = 2.710 Å, rel. 30.2
- 21.39°, d = 4.154 Å, rel. 29.8
- 19.82°, d = 4.479 Å, rel. 26.8
- 45.64°, d = 1.988 Å, rel. 24.2
- 24.45°, d = 3.640 Å, rel. 23.0
- 23.19°, d = 3.836 Å, rel. 22.7
- 24.57°, d = 3.623 Å, rel. 22.3

Cell lengths 8.938, 8.938, 6.889 Å; angles 105.88, 105.88, 92.75 degrees
Positions (direct):
K  0.015  0.985  0.750
K  0.985  0.015  0.250
Mg  0.062  0.378  0.634
Mg  0.258  0.742  0.250
Mg  0.378  0.062  0.134
Mg  0.622  0.938  0.866
Mg  0.742  0.258  0.750
Mg  0.938  0.622  0.366
Cu  0.498  0.502  0.750
Cu  0.502  0.498  0.250
As  0.122  0.352  0.129
As  0.285  0.715  0.750
As  0.352  0.122  0.629
As  0.648  0.878  0.371
As  0.715  0.285  0.250
As  0.878  0.648  0.871
O  0.009  0.671  0.118
O  0.029  0.407  0.321
O  0.173  0.749  0.523
O  0.176  0.186  0.626
O  0.186  0.176  0.126
O  0.251  0.827  0.977
O  0.276  0.500  0.186
O  0.276  0.517  0.739
O  0.329  0.991  0.382
O  0.407  0.029  0.821
O  0.483  0.724  0.761
O  0.500  0.276  0.686
O  0.500  0.724  0.314
O  0.517  0.276  0.239
O  0.593  0.971  0.179
O  0.671  0.009  0.618
O  0.724  0.483  0.261
O  0.724  0.500  0.814
O  0.749  0.173  0.023
O  0.814  0.824  0.874
O  0.824  0.814  0.374
O  0.827  0.251  0.477
O  0.971  0.593  0.679
O  0.991  0.329  0.882

Record 3
____________

Could you write out the block further up from the first line to the one with "Direct" unchanged?

For HoSi, a crystal structure in Alexandria, relaxed with GGA-PBE gives the calculated powder XRD pattern in this record (Cu Kα X-rays).

Main lines, by angle (10° ≤ 2θ ≤ 80°):
| Position (°2θ) | I/Imax |
| --- | --- |
| 22.54 | 39 |
| 28.91 | 65 |
| 32.63 | 100 |
| 33.16 | 53 |
| 34.20 | 30 |
| 40.91 | 31 |

Structural model:
Cell lengths 5.6587, 5.6587, 3.8210 Å; angles 90.00, 90.00, 135.82 degrees
Atoms (fractional coordinates):
1 Ho 0.1402 0.8598 0.7500
2 Ho 0.8598 0.1402 0.2500
3 Si 0.4233 0.5767 0.7500
4 Si 0.5767 0.4233 0.2500

~~~~~

# MnRh2O4
Calculated powder diffractogram, Cu Kα (λ = 1.5418 Å). Input: the GGA+U geometry in Alexandria.
Neutral-atom scattering factors, no anomalous dispersion.

Structure:
```
MnRh2O4
1.0
0.0000 4.3803 4.3803
4.3803 0.0000 4.3803
4.3803 4.3803 0.0000
Mn Rh O
2 4 8
Direct